"The Talmud Unmasked", which you can find at our website, is a short book written by Iustinus Bonaventura Pranaitis. It contains excerpts from the Talmud and related rabbinical literature showing what the Jews are taught and commanded regarding their behaviour towards Christians and Christianity in general. Originally published in Latin in 1892, it offers precise insights and useful sources limited not only to the Talmud, but also collections of commentaries by famous rabbis which are at times appended to the Talmud.
This is crucial since Jews will always present themselves as these friendly, wise sages who hold nothing but love and tolerance towards everyone. The book shows, however, that they hate Christians, desire their disgrace in every conceivable way, and are commanded to defraud them, avoid offering them help of any kind, let them die (or even to kill them, in the right circumstances), etc. In addition, they are commanded to hide all these things, to avoid hostility (e.g. a Jew can only heal a goy (gentile) to avoid enmity when they are a minority), or to give a good impression (trickery during trials against a goy is only allowed if the goyim will not notice).
It is therefore a great weapon against Judaism by merely showing what Jews themselves write. But if you want to properly use its references in a discussion, you will have to verify them, otherwise you will be accused of making things up. That means that you will have to check the reference work for yourself and see if the text is indeed as it is presented. And while in some cases this may be trivial, some references can be almost impossible to trace for different reasons.
As mentioned in the book itself, Jews themselves censor their own texts if they spread to the goyim. Therefore, to make sure one has the text in its original form, it is necessary to use old manuscripts such as the ones mentioned by Pranaitis as his sources of content, mostly editions from before the end of the 17th century.
In this article we list the challenges when it comes to tracing references back to their sources and include examples to show the legitimacy of all of Pranaitis' work.
Difficulties when it comes to finding the sources themselves
Many of the referenced works are only available in Hebrew, and at times are relatively obscure and hard to find online, if not impossible. In addition, the name of the book is usually a transliteration of the Hebraic name, which means that available online versions may use a different transliteration. For example, the book cited as "Tosephoth" can be found by looking for "Tosafot", and "Iore Dea" by looking for "Yoreh Deah".
To help in this process, we provide a list with some of the most referenced works with a link to an online version. Keep in mind that some of these are only in Hebrew. In those cases, we recommend the use of modern AI tools for translation, such as ChatGPT. Provide a paragraph and ask for the translation into any language to obtain much better results than a traditional translator. If you have doubts about the legitimacy of a translated part, ask for a word-by-word literal translation that you can verify.
- Maimonides' Hilkoth Akum can be found here. Check the section that contains the text for other referenced books from Maimonides, such as Hilkoth Maakhaloth (here).
- Iore Dea can be found here. Check the commentary section at the right when clicking a paragraph.
- Tosephoth can be found here. The references can be found mostly in the "Tosafot on Talmud" section.
- Choshen Hammischpat can be found here.
- Rabbi Bechai's commentary on the books of the Pentateuch can be found here. Each main section corresponds to one of the five books. For example, the commentary regarding Deuteronomy can be found in the Devarim section.
- Kad Hakkemach can be found here. This one is particularly tricky since the original text is referenced using the folio number, but the text itself has no real structure and is fully in Hebrew, being separated into thematic sections by the publishers. We recommend trying to infer the section from the quote in the book and using a translator to slowly go through the section.
- Taanith can be found here.
- Rabbi David Kimchi's commentaries can be found here.
Missing parts from a censored text
One of the most common forms of censor used to hide contents is to straight-up remove parts that may cause enmity. Many examples of this were given in a former article, but more can be found.
For example, The Talmud Unmasked makes the following claim:
In the Talmud, Christ is called Otho Isch – “That man”, i.e. the one who is known to all. In the Tract Abhodah Zarah, 6a, we read:
“He is called a Christian who follows the false teachings of that man, who taught them to celebrate the feast on the first day of the Sabbath, that is, to worship on the first day after the Sabbath.”
However, if we go to the referenced Talmud tract in Sefaria, a version that mentions explicitely parts where the text has been censored, the quote can't be found. Some search, however, shows that the quote is indeed found in older manuscripts:

Many of these instances are referenced by notes. For example, the text from Hilkoth Maakhaloth XI cited by the Talmud Unmasked reads:
The same is permitted in the case of all gentiles who are not idolaters, such as the Turks [Ismaelites]. A Jew, however, is not permitted to drink their wine, although he may use it to his own advantage. All the best known Rabbis agree on this. But since Christians are idolaters, it is not allowed even to use their wine to advantage.
The version of the text at Sefaria is missing the reference about Christians at the end, but it is included in note 24.
Parts that have been altered to make it seem they refered to past practices
This form of censor is also mentioned in The Talmud Unmasked:
The latest device invented to deceive the censors was inserting the word haiah (was) into the genuine text, as if to indicate that the matter in question once had its place there.
This is the case in Iore Deah 158, 2. The quote in The Talmud Unmasked reads:
...likewise to those who deny the Torah and the Prophets of Israel – the law is that all those should be killed; and those who have the power of life and death should have them killed; and if this cannot be done, they should be led to their death by deceptive methods.
While the text found at Sefaria reads:
And the heretics, and those who deny the Torah and Jewish prophecy -- they had the custom during the times of the Holy Temple to kill them. If one's hands were strong enough to kill them with a sword, in public, he would kill him [in that way], and if not, he would develop a plan in order to bring about their death.
The sudden references to the past make no sense in the context of the text and the purpose of the commentary, and is sudden and unexpected. Additionally, the comments attached to the text make it clear that the original didn't discuss about the past for no reason, but about the present.
For example, comment labelled as "Rabbi Akiva Eiger on Shulchan Arukh, Yoreh De'ah 158:1" reads "it is written that specifically we cast them into a pit but we do not kill them by hand", in present.
Translations with strangely ommitted parts
Even if an english translation is available, these can be altered to ommit crucial parts. For example, The Talmud Unmasked quotes the following text as Rabbi Bechai's comment on deuteronomy:
The Scripture teaches us to hate idols and to call them by ignominious names. Thus, if the name of a church is Bethgalia – “house of magnificence”, it should be called Bethkaria – an insignificant house, a pigs’ house, a latrine. For this word, karia, denotes a low-down, slum place.
This text, from Bechai's Devarim 7:26, is presented in this way in the English translation available at Sefaria:
The verse teaches that we must relate to idolatry with a very negative and disdainful attitude and when for some reason speaking about it always make plain how we detest it. We are not to refer to houses of pagan worship by the names they are usually referred to but by some name which belittles them, downgrades them. (Sanhedrin 63). We have a principle that unbecoming speech is forbidden unless such epithets are reserved for idolatry and places where such idolatry is practiced (compare Isaiah 46: 1 where the prophet ridicules pagan deities in insulting language: “Bel is bowed, Nebo is cowering.”) The author quotes more such examples from the Talmud where pagan sites are referred to in a derogatory manner.
Wait a minute. This translation doesn't seem very similar to Pranaitis' quote, in which detail is given about how exactly names are corrupted to give a derogatory meaning. And the translation even stops at the end and merely says "The author quotes more such examples from the Talmud where pagan sites are referred to in a derogatory manner". However, if I put the hebrew text of the entire section through ChatGPT's translation I get the following result:
The Scripture teaches you that a person is obliged to abominate idolatry by mentioning it in disparaging language. If there was a name, Beit Galya, which implies height, it is called Beit Karya, which implies depth and lowliness. And so they also said, all mockery is prohibited except for the mockery of idolatry, which is permitted. As it is written (Isaiah 46): "Bel bows down, Nebo stoops," and it is written (there), "They stoop, they bow down together, they could not deliver the burden." And so, the name of Mercury was Claus among his worshippers, and it is a language of praise and honor, and the sages replaced it with the name Mercurius, 'Mar' meaning exchange or replacement. Just like the language of the sages in 'Mar of Shechita with exchange of Shechita', and so they replaced Claus with Colis, which is a language of mockery and disgrace, from the language (Psalms 79), 'Mockery and ridicule.' This is how Rabbeinu Tam explained it. And so, they also said, 'beforehand from the Kelkelon is forbidden,' and Rashi explained, 'bangles made for idolatry and sacrificed before it beforehand, and they make them for modesty and honor.' And we say, 'beforehand from the Kelkelon is forbidden' in order to mention it in a name of disgrace, and 'their honor in disgrace I will say.' And there are those who say 'Marklus,' meaning 'exchange of Claus,' and it is mockery. Therefore, the Scripture includes 'abominate, you shall abominate it' in action and mentioning their names.
One wonders why the translator ommited such clear examples of distortion of names. In these cases it is always recommended to translate the Hebrew version if it is available, though keep in mind it can be censored in the aforementioned ways.
Slander against the author
The author of The Talmud Unmasked was a Catholic priest, an expert in rabbinical literature and Hebrew. Since his quotes are accurate and impossible to contradict, Jews must resort to character assassination (literally and figuratively, since Pranaitis died during the Bolshevik revolution).
If you search for his name, one of the first results will be his Wikipedia page. It is described how Pranaitis was called to testify about Jewish teachings in a trial regarding a Russian child that was murdered through Jewish ritual murder in which dozens of small holes were punctured into his body and his blood was extracted. The Wikipedia page tells us this about Pranaitis:
His credibility rapidly evaporated, however, when the defence demonstrated his ignorance of some simple Talmudic concepts and definitions, such as hullin,[4] to the point where "many in the audience occasionally laughed out loud when he clearly became confused and couldn't even intelligibly answer some of the questions asked by [Beilis'] lawyer".[1] Rebekah Marks Costin's account in Robert Garber's Jews on Trial quotes the key exchange of the trial which served to destroy Pranaitis' credibility:
[What comes next are records of crystals, not part of the article]
~~~
Record 1
ScNbRu2, relaxed, DFT r2SCAN; formation energy = -0.575 eV per atom; space group = No. 225
1.0
3.542 -2.470 1.246
-0.525 -3.360 2.938
0.362 -4.263 -1.375
Ru Nb Sc
2 1 1
Cartesian
1.689 -5.047 1.404 Ru
3.904 -6.733 -0.129 Ru
0.845 -2.523 0.702 Nb
2.534 -7.570 2.107 Sc


Record 2
Ba6Mg7H26, relaxed, DFT r2SCAN; formation energy = -0.469 eV per atom; space group = No. 71
1.0
-2.899 5.970 7.472
2.899 -5.970 7.472
2.899 5.970 -7.472
Ba H Mg
6 26 7
Cartesian
2.899 0.000 5.323 Ba
2.899 2.872 2.205 Ba
0.000 3.098 5.267 Ba
0.000 3.098 9.677 Ba
0.000 5.970 2.149 Ba
2.899 2.872 -2.205 Ba
2.899 5.970 -6.177 H
-1.369 4.036 7.472 H
1.563 4.636 -3.807 H
0.000 5.970 6.145 H
0.000 0.000 13.649 H
1.369 4.036 7.472 H
1.451 -1.369 7.472 H
1.448 7.339 0.000 H
1.563 7.304 -3.807 H
1.451 1.369 7.472 H
1.448 4.601 0.000 H
2.899 -2.688 5.577 H
1.563 7.304 3.807 H
1.335 -1.334 11.279 H
4.268 1.934 0.000 H
0.000 0.000 9.396 H
2.899 0.000 1.327 H
2.899 2.688 5.577 H
0.000 8.658 1.895 H
1.335 1.334 11.279 H
1.336 1.334 3.665 H
1.563 4.636 3.807 H
2.899 5.970 -1.924 H
1.530 1.934 0.000 H
0.000 3.282 1.895 H
1.336 -1.334 3.665 H
0.000 0.000 3.259 Mg
2.899 5.970 0.000 Mg
0.000 3.082 0.000 Mg
2.899 5.970 4.213 Mg
4.325 0.000 0.000 Mg
-1.426 5.970 7.472 Mg
2.899 2.888 7.472 Mg

* * * * *

[1]
Be2IrPd: optimized geometry, PBE-GGA.

Values from the calculation:
* calculated total energy: -5.976 eV per atom
* DFT formation energy: -232 kJ/mol of formula units

Lattice parameters (Å, degrees): 5.625 5.625 5.625 90.00 90.00 90.00
Space group Fm-3m (No. 225)
One atom of each set of equivalent atoms:
Be (0.250, 0.250, 0.250)
Ir (0.000, 0.000, 0.000)
Pd (0.000, 0.000, 0.500)

=====

[2]
Cs2KGaCl6: optimized geometry, PBE-GGA.

Values from the calculation:
* calculated total energy: -3.348 eV per atom
* DFT formation energy: -1944 kJ/mol of formula units

Lattice parameters (Å, degrees): 10.894 10.894 10.894 90.00 90.00 90.00
Space group Fm-3m (No. 225)
One atom of each set of equivalent atoms:
Cs (0.250, 0.250, 0.250)
K (0.000, 0.000, 0.000)
Ga (0.000, 0.000, 0.500)
Cl (0.000, 0.000, 0.279)

=====

[3]
Ce3Ni13B2: optimized geometry, PBE-GGA.

Values from the calculation:
* calculated total energy: -6.329 eV per atom
* DFT formation energy: -735 kJ/mol of formula units

Lattice parameters (Å, degrees): 4.9260 4.9260 10.9925 90.00 90.00 120.00
Space group P6/mmm (No. 191)
One atom of each set of equivalent atoms:
Ce (0.0000, 0.0000, 0.0000)
Ce (0.0000, 0.0000, 0.3309)
Ni (0.0000, 0.5000, 0.1329)
Ni (0.0000, 0.5000, 0.5000)
Ni (0.3333, 0.6667, 0.3179)
B (0.3333, 0.6667, 0.0000)

=====

[4]
CaTiAgP3O12: optimized geometry, PBE-GGA.

Values from the calculation:
* calculated total energy: -7.071 eV per atom
* DFT formation energy: -4551 kJ/mol of formula units

Lattice parameters (Å, degrees): 8.8518 8.8518 21.8641 90.00 90.00 120.00
Space group R3c (No. 161, hexagonal axes)
One atom of each set of equivalent atoms:
Ca (0.0000, 0.0000, 0.0000)
Ti (0.0000, 0.0000, 0.1526)
~~~
Q: What is the meaning of the word Hullin [animals permissible as food]?
A: I don't know.
Q: What is the meaning of the word Erubin [Sabbath walking limits]?
A: I don't know.
Q: What is the meaning of the word Yebamot [family relationships]?
A: I don't know.
Q: When did Baba Batra[6] live and what was her activity?
A: I don't know.[7]
The last question "was fatal once it was tactfully explained to the jury. Baba Batra is a tractate of the Talmud, quite well known to scholars, students, and many Jewish laymen."[7] A Tsarist secret police agent would later report on Pranaitis' testimony, saying:
Cross-examination of Pranaitis has weakened the evidential value of his expert opinion, exposing lack of knowledge of texts and insufficient knowledge of Jewish literature. Because of his amateurish knowledge and lack of resourcefulness, Pranaitis' expert opinion is of very low value.
The first lie here is that "the last question was fatal" because Baba Batra is a Talmud tractate. All the mentioned questions refer to a Talmud tractate. The second lie is, of course, that Pranaitis wouldn't know what they are. All the mentioned tractates are listed in The Talmud Unmasked and cited several times each. It is absolutely impossible that Pranaitis would lack knowledge of them because, as it is evident, these questions that "destroy Pranaitis' credibility" are a complete fabrication by the author of the text in the Wikipedia page: Mendel Beilis, the very Jew who murdered the child, the witnesses, and later wrote an autobiography that evidently is as accurate as one would expect from Jewish accounts.
Finally, the reference to "a Tsarist secret police agent" comes from a book called "Tsarist Russia and the Beilis Case" written by A.C. Tager in 1934. Tager became an attorney of the Moscow District Court of Justice in 1917, precisely the year of the Bolshevik Revolution. Wikipedia tells us:
In the 1930s, Tager, along with a group of employees of the Central Archival Administration, was engaged in the search for documents proving the falsity of the Protocols of the Elders of Zion
The book "Tsarist Russia and the Beilis Affair" was conceived as part of a trilogy: its second volume was to be devoted to the Dreyfus affair , and the third to state anti-Semitism in Germany in the 1930s
So as can be observed, the source of the slander are a Jew who murdered several children, and a Bolshevik Jew who dedicated his life to writing Jewish propaganda. For these reasons, which you can find being parroted endlessly by Jews all over the internet, Pranaitis is labelled as an evil anti-semite and his work dismissed, despite Pranaitis never making any mention of semites beyond the following one:
I considered it unworthy of me to keep silent just for the sake of my own personal safety while the conflict rages between the two camps of "Semites" and "Anti-Semites", both of which claim they are fighting for the truth, while I know that the whole truth is not to be found in either camp.
The Talmud Unmasked is an incredibly valuable collection of references to Jewish literature. Read it and, if you want to arm yourself against Jews, verify personally the references that you find to be the most important. Keep in mind, though, that a small amount of them may be hard to trace unless you own ancient documents.